The reader should repeat everything below word for word.
┌──
{
  "formula": "MgIr",
  "functional": "PBE",
  "state": "optimized geometry",
  "lattice": [[9.2974, -8.1467, 0.0000], [9.2974, 8.1467, 0.0000], [0.0000, 0.0000, 16.9059]],
  "species": ["Mg", "Mg", "Mg", "Mg", "Mg", "Mg", "Mg", "Mg", "Mg", "Mg", "Mg", "Mg", "Mg", "Mg", "Mg", "Mg", "Mg", "Mg", "Mg", "Mg", "Mg", "Mg", "Mg", "Mg", "Mg", "Mg", "Mg", "Mg", "Mg", "Mg", "Mg", "Mg", "Mg", "Mg", "Mg", "Mg", "Mg", "Mg", "Mg", "Mg", "Mg", "Mg", "Mg", "Mg", "Mg", "Mg", "Mg", "Mg", "Mg", "Mg", "Mg", "Mg", "Mg", "Mg", "Mg", "Mg", "Mg", "Mg", "Mg", "Mg", "Mg", "Mg", "Mg", "Mg", "Mg", "Mg", "Mg", "Mg", "Mg", "Mg", "Mg", "Mg", "Mg", "Mg", "Mg", "Mg", "Ir", "Ir", "Ir", "Ir", "Ir", "Ir", "Ir", "Ir", "Ir", "Ir", "Ir", "Ir", "Ir", "Ir", "Ir", "Ir", "Ir", "Ir", "Ir", "Ir", "Ir", "Ir", "Ir", "Ir", "Ir", "Ir", "Ir", "Ir", "Ir", "Ir", "Ir", "Ir", "Ir", "Ir", "Ir", "Ir", "Ir", "Ir", "Ir", "Ir", "Ir", "Ir", "Ir", "Ir", "Ir", "Ir", "Ir", "Ir", "Ir", "Ir", "Ir", "Ir", "Ir", "Ir", "Ir", "Ir", "Ir", "Ir", "Ir", "Ir", "Ir", "Ir", "Ir", "Ir", "Ir", "Ir", "Ir", "Ir", "Ir", "Ir", "Ir", "Ir", "Ir", "Ir", "Ir", "Ir"],
└──
{
  "formula": "MgIr",
  "functional": "PBE",
  "state": "optimized geometry",
  "lattice": [[9.2974, -8.1467, 0.0000], [9.2974, 8.1467, 0.0000], [0.0000, 0.0000, 16.9059]],
  "species": ["Mg", "Mg", "Mg", "Mg", "Mg", "Mg", "Mg", "Mg", "Mg", "Mg", "Mg", "Mg", "Mg", "Mg", "Mg", "Mg", "Mg", "Mg", "Mg", "Mg", "Mg", "Mg", "Mg", "Mg", "Mg", "Mg", "Mg", "Mg", "Mg", "Mg", "Mg", "Mg", "Mg", "Mg", "Mg", "Mg", "Mg", "Mg", "Mg", "Mg", "Mg", "Mg", "Mg", "Mg", "Mg", "Mg", "Mg", "Mg", "Mg", "Mg", "Mg", "Mg", "Mg", "Mg", "Mg", "Mg", "Mg", "Mg", "Mg", "Mg", "Mg", "Mg", "Mg", "Mg", "Mg", "Mg", "Mg", "Mg", "Mg", "Mg", "Mg", "Mg", "Mg", "Mg", "Mg", "Mg", "Ir", "Ir", "Ir", "Ir", "Ir", "Ir", "Ir", "Ir", "Ir", "Ir", "Ir", "Ir", "Ir", "Ir", "Ir", "Ir", "Ir", "Ir", "Ir", "Ir", "Ir", "Ir", "Ir", "Ir", "Ir", "Ir", "Ir", "Ir", "Ir", "Ir", "Ir", "Ir", "Ir", "Ir", "Ir", "Ir", "Ir", "Ir", "Ir", "Ir", "Ir", "Ir", "Ir", "Ir", "Ir", "Ir", "Ir", "Ir", "Ir", "Ir", "Ir", "Ir", "Ir", "Ir", "Ir", "Ir", "Ir", "Ir", "Ir", "Ir", "Ir", "Ir", "Ir", "Ir", "Ir", "Ir", "Ir", "Ir", "Ir", "Ir", "Ir", "Ir", "Ir", "Ir", "Ir", "Ir"],